What to do:
The reader should transcribe the material further down word for word.
Given:
/*
i.
C6H12ClN in the gas phase, computed with wB97M-V/def2-TZVPD.

Cartesian coordinates (Å):
C: -1.252 -1.776 0.181
C: -0.645 -0.809 -0.933
N: 0.643 -1.071 -1.564
C: -0.672 0.629 -0.447
C: -0.837 1.743 -1.415
C: -1.204 0.745 0.959
C: 0.331 0.945 0.624
Cl: 1.751 -0.064 1.298
H: -1.155 -2.822 -0.005
H: -2.195 -1.308 0.559
H: -0.569 -1.765 1.078
H: -1.327 -0.982 -1.854
H: 0.483 -1.642 -2.372
H: 1.405 -1.312 -0.877
H: -0.718 2.692 -0.666
H: -1.791 1.810 -2.013
H: 0.024 1.564 -2.114
H: -1.664 0.018 1.598
H: -1.823 1.473 1.072
H: 0.728 2.003 0.664

Summary:
Orbital gap   10.0 eV
Spin multiplicity   1
Total charge   0
SMILES   C[C@H](N)[C@@]1(C)C[C@H]1Cl
HOMO level   -9.07 eV
LUMO level   0.9431 eV



ii.
C6H12ClN in the gas phase, computed with wB97M-V/def2-TZVPD.

Cartesian coordinates (Å):
C: -1.451 -2.189 -0.252
C: -0.629 -1.014 0.299
C: -1.086 -0.510 1.600
C: 0.290 -0.408 -0.486
C: 1.038 0.861 -0.081
N: 2.461 0.901 -0.424
C: 0.334 2.130 -0.625
Cl: 0.141 2.093 -2.360
H: -1.146 -2.386 -1.277
H: -2.527 -1.928 -0.163
H: -1.362 -3.059 0.420
H: -0.673 0.529 1.831
H: -0.734 -1.144 2.392
H: -2.145 -0.392 1.593
H: 0.567 -0.878 -1.445
H: 1.014 0.980 0.992
H: 3.022 0.185 0.002
H: 2.663 0.909 -1.426
H: 0.899 3.037 -0.364
H: -0.675 2.282 -0.226

Summary:
Orbital gap   9.8 eV
Spin multiplicity   1
Total charge   0
SMILES   CC(C)=C[C@@H](N)CCl
HOMO level   -8.87 eV
LUMO level   0.9061 eV



What is the most stable structure shown above? It is ii.
*/
Here it is:
i.
C6H12ClN in the gas phase, computed with wB97M-V/def2-TZVPD.

Cartesian coordinates (Å):
C: -1.252 -1.776 0.181
C: -0.645 -0.809 -0.933
N: 0.643 -1.071 -1.564
C: -0.672 0.629 -0.447
C: -0.837 1.743 -1.415
C: -1.204 0.745 0.959
C: 0.331 0.945 0.624
Cl: 1.751 -0.064 1.298
H: -1.155 -2.822 -0.005
H: -2.195 -1.308 0.559
H: -0.569 -1.765 1.078
H: -1.327 -0.982 -1.854
H: 0.483 -1.642 -2.372
H: 1.405 -1.312 -0.877
H: -0.718 2.692 -0.666
H: -1.791 1.810 -2.013
H: 0.024 1.564 -2.114
H: -1.664 0.018 1.598
H: -1.823 1.473 1.072
H: 0.728 2.003 0.664

Summary:
Orbital gap   10.0 eV
Spin multiplicity   1
Total charge   0
SMILES   C[C@H](N)[C@@]1(C)C[C@H]1Cl
HOMO level   -9.07 eV
LUMO level   0.9431 eV



ii.
C6H12ClN in the gas phase, computed with wB97M-V/def2-TZVPD.

Cartesian coordinates (Å):
C: -1.451 -2.189 -0.252
C: -0.629 -1.014 0.299
C: -1.086 -0.510 1.600
C: 0.290 -0.408 -0.486
C: 1.038 0.861 -0.081
N: 2.461 0.901 -0.424
C: 0.334 2.130 -0.625
Cl: 0.141 2.093 -2.360
H: -1.146 -2.386 -1.277
H: -2.527 -1.928 -0.163
H: -1.362 -3.059 0.420
H: -0.673 0.529 1.831
H: -0.734 -1.144 2.392
H: -2.145 -0.392 1.593
H: 0.567 -0.878 -1.445
H: 1.014 0.980 0.992
H: 3.022 0.185 0.002
H: 2.663 0.909 -1.426
H: 0.899 3.037 -0.364
H: -0.675 2.282 -0.226

Summary:
Orbital gap   9.8 eV
Spin multiplicity   1
Total charge   0
SMILES   CC(C)=C[C@@H](N)CCl
HOMO level   -8.87 eV
LUMO level   0.9061 eV



What is the most stable structure shown above? It is ii.